His Holiness Karekin II Addresses Inter-Religious Peacemaking Forum in Moscow

[These calculated crystals were left in the page by mistake]
+++
No. 1
Starting from a crystal structure in Alexandria, relaxed with GGA-PBE, the X-ray powder pattern of BaLi9Pd2 was simulated for Cu Kα (λ = 1.5418 Å).

```
data_BaLi9Pd2
_chemical_formula_sum 'Ba2 Li18 Pd4'
_cell_length_a 8.902
_cell_length_b 8.902
_cell_length_c 8.902
_cell_angle_alpha 100.10
_cell_angle_beta 100.10
_cell_angle_gamma 130.49
_space_group_name_H-M_alt 'P 1'
_space_group_IT_number 1
loop_
_space_group_symop_operation_xyz
'x,y,z'
loop_
_atom_site_label
_atom_site_type_symbol
_atom_site_fract_x
_atom_site_fract_y
_atom_site_fract_z
Ba1 Ba 0.375 0.625 0.750
Ba2 Ba 0.625 0.375 0.250
Li1 Li 0.125 0.875 0.250
Li2 Li 0.155 0.582 0.323
Li3 Li 0.155 0.832 0.573
Li4 Li 0.168 0.241 0.323
Li5 Li 0.168 0.845 0.927
Li6 Li 0.241 0.168 0.823
Li7 Li 0.241 0.418 0.073
Li8 Li 0.418 0.241 0.573
Li9 Li 0.418 0.845 0.177
Li10 Li 0.582 0.155 0.823
Li11 Li 0.582 0.759 0.427
Li12 Li 0.759 0.582 0.927
Li13 Li 0.759 0.832 0.177
Li14 Li 0.832 0.155 0.073
Li15 Li 0.832 0.759 0.677
Li16 Li 0.845 0.168 0.427
Li17 Li 0.845 0.418 0.677
Li18 Li 0.875 0.125 0.750
Pd1 Pd 0.000 0.000 0.000
Pd2 Pd 0.000 0.000 0.500
Pd3 Pd 0.000 0.500 0.000
Pd4 Pd 0.500 0.000 0.500
```

Principal peaks in the range 2θ = 10–90°, low angle first:
15.5°, 5.716 Å, I 19; 21.1°, 4.217 Å, I 100; 26.3°, 3.385 Å, I 13; 28.6°, 3.122 Å, I 26; 30.6°, 2.918 Å, I 42; 31.3°, 2.858 Å, I 28; 34.6°, 2.595 Å, I 16; 37.0°, 2.428 Å, I 14; 42.9°, 2.108 Å, I 22; 44.4°, 2.042 Å, I 15

No. 2
Starting from a crystal structure in Alexandria, relaxed with GGA-PBE, the X-ray powder pattern of Sr4AlZn2 was simulated for Cu Kα (λ = 1.5418 Å).

```
data_Sr4AlZn2
_chemical_formula_sum 'Sr4 Al1 Zn2'
_cell_length_a 9.665
_cell_length_b 9.665
_cell_length_c 9.665
_cell_angle_alpha 33.30
_cell_angle_beta 33.30
_cell_angle_gamma 33.30
_space_group_name_H-M_alt 'P 1'
_space_group_IT_number 1
loop_
_space_group_symop_operation_xyz
'x,y,z'
loop_
_atom_site_label
_atom_site_type_symbol
_atom_site_fract_x
_atom_site_fract_y
_atom_site_fract_z
Sr1 Sr 0.124 0.124 0.124
Sr2 Sr 0.375 0.375 0.375
Sr3 Sr 0.625 0.625 0.625
Sr4 Sr 0.876 0.876 0.876
Al1 Al 0.000 0.000 0.000
Zn1 Zn 0.253 0.253 0.253
Zn2 Zn 0.747 0.747 0.747
```

Principal peaks in the range 2θ = 10–90°, low angle first:
19.6°, 4.527 Å, I 16; 22.6°, 3.928 Å, I 30; 32.1°, 2.785 Å, I 100; 32.3°, 2.770 Å, I 99; 46.2°, 1.964 Å, I 36; 57.2°, 1.611 Å, I 18; 57.5°, 1.602 Å, I 37; 57.6°, 1.599 Å, I 18; 76.6°, 1.244 Å, I 15; 76.9°, 1.240 Å, I 15

No. 3
Starting from a crystal structure in Alexandria, relaxed with GGA-PBE, the X-ray powder pattern of Pm4Sm3Pd2 was simulated for Cu Kα (λ = 1.5418 Å).

```
data_Pm4Sm3Pd2
_chemical_formula_sum 'Pm4 Sm3 Pd2'
_cell_length_a 8.730
_cell_length_b 8.730
_cell_length_c 9.243
_cell_angle_alpha 111.91
_cell_angle_beta 111.91
_cell_angle_gamma 25.31
_space_group_name_H-M_alt 'P 1'
_space_group_IT_number 1
loop_
_space_group_symop_operation_xyz
'x,y,z'
loop_
_atom_site_label
_atom_site_type_symbol
_atom_site_fract_x
_atom_site_fract_y
+++

In the morning of March 2, the Second Inter-Religious Peacemaking Forum commenced its work in Moscow. Participating in the Forum were representatives of the CIS countries. His Holiness Alexy II, Head of the Russian Orthodox Church, Patriarch of Moscow and All Russia, presided during the meeting. 

His Holiness Karekin II, Supreme Patriarch and Catholicos of All Armenians, delivered his opening remarks to the participants. In his address, the Pontiff of All Armenians expressed his high appreciation for the initiative of Patriarch Alexy, and praised his efforts to establish a corresponding body, the Inter-Religious Council of the CIS. 

The Catholicos specifically referred to the problems and challenges facing the CIS countries and spoke about possible solutions and methods which would help in their resolution. 

-- Calculated crystals, as found in the file --
┌──
Starting from the PBE geometry in the Materials Project, the XRD peak list of Be2TlF5 was computed for Cu Kα X-rays.
Neutral-atom scattering factors, no anomalous dispersion.

Structure:
Lattice parameters (Å, degrees): 8.186 4.715 12.805 90.00 91.27 90.00
Space group C2/c (No. 15)
One atom of each set of equivalent atoms:
Be (0.168, 0.025, 0.205) [8 per cell]
Tl (0.000, 0.500, 0.000) [4 per cell]
F (0.000, 0.077, 0.750) [4 per cell]
F (0.171, 0.006, 0.587) [8 per cell]
F (0.193, 0.345, 0.238) [8 per cell]

Main lines, by intensity (10° ≤ 2θ ≤ 90°):
- hkl 1 1 0, 2θ 21.7, I = 100
- hkl 1 1 2, 2θ 26.0, I = 99
- hkl 0 0 2, 2θ 13.8, I = 71
- hkl 2 0 -2, 2θ 25.6, I = 54
- hkl 1 1 -2, 2θ 25.7, I = 50
- hkl 0 2 0, 2θ 38.1, I = 48
- hkl 0 0 4, 2θ 27.9, I = 42
- hkl 1 1 4, 2θ 35.8, I = 37
- hkl 3 1 -2, 2θ 40.5, I = 32
- hkl 3 1 2, 2θ 41.0, I = 30

***

Starting from the PBE geometry in the Materials Project, the XRD peak list of Mg5Zn was computed for Cu Kα X-rays.
Neutral-atom scattering factors, no anomalous dispersion.

Structure:
Lattice parameters (Å, degrees): 3.1109 3.1109 15.3605 90.00 90.00 120.00
Space group P-6m2 (No. 187)
One atom of each set of equivalent atoms:
Mg (0.0000, 0.0000, 0.0000) [1 per cell]
Mg (0.0000, 0.0000, 0.3503) [2 per cell]
Mg (0.6667, 0.3333, 0.1734) [2 per cell]
Zn (0.6667, 0.3333, 0.5000) [1 per cell]

Main lines, by intensity (10° ≤ 2θ ≤ 90°):
- hkl 1 0 3, 2θ 37.7, I = 100
- hkl 1 0 0, 2θ 33.3, I = 28
- hkl 0 0 2, 2θ 11.5, I = 25
- hkl 0 0 6, 2θ 35.1, I = 24
- hkl 1 0 6, 2θ 49.1, I = 17
- hkl 1 1 6, 2θ 70.9, I = 17
- hkl 1 1 0, 2θ 59.4, I = 17
- hkl 1 0 9, 2θ 64.6, I = 16
- hkl 2 0 3, 2θ 72.6, I = 13
- hkl 1 0 4, 2θ 40.9, I = 11

***

Starting from the PBE geometry in the Materials Project, the XRD peak list of USe was computed for Cu Kα X-rays.
Neutral-atom scattering factors, no anomalous dispersion.

Structure:
Lattice parameters (Å, degrees): 5.732 5.732 5.732 90.00 90.00 90.00
Space group Fm-3m (No. 225)
One atom of each set of equivalent atoms:
U (0.000, 0.000, 0.000) [4 per cell]
Se (0.000, 0.000, 0.500) [4 per cell]

Main lines, by intensity (10° ≤ 2θ ≤ 90°):
- hkl 2 0 0, 2θ 31.2, I = 100
- hkl 2 2 0, 2θ 44.7, I = 75
- hkl 1 1 1, 2θ 26.9, I = 43
- hkl 4 2 0, 2θ 73.9, I = 36
- hkl 4 2 2, 2θ 82.4, I = 27
- hkl 2 2 2, 2θ 55.5, I = 27
- hkl 3 1 1, 2θ 53.0, I = 22
- hkl 4 0 0, 2θ 65.1, I = 13
- hkl 3 3 1, 2θ 71.8, I = 10
- hkl 5 1 1, 2θ 88.7, I = 8

=====

Computed powder XRD pattern
Compound: LaYCo2Ge2C
Radiation: CuKα
Structure: a crystal structure in OQMD, relaxed with GGA-PBE
Intensities are scaled so that the largest is 100.

Main lines, by angle (2θ = 10–80°):
32.69°, I = 35
32.95°, I = 69
33.22°, I = 88
34.09°, I = 46
35.34°, I = 100
35.59°, I = 49
38.66°, I = 88
40.04°, I = 48
45.01°, I = 57
61.80°, I = 26
62.69°, I = 24
63.67°, I = 36

Atomic structure:
```
LaYCo2Ge2C
1.0
10.9950 0.0000 0.0000
0.0000 4.0285 0.0000
-4.4116 0.0000 5.4783
La Y Co Ge C
2 2 4 4 2
direct
0.0000 0.0000 0.0000
0.5000 0.5000 0.0000
└──

His Holiness stated in part, "Today we have the freedom to practice our religion; faith is reawakening in the hearts of our people. However, our souls are not free from concern, as eternal and universal spiritual values are endangered. These values are the only basis on which new relations between societies, nations, and states can develop and progress. We are witnessing moral degradation, the polarization of society, the destructive results of proselytizing cults, and the proliferation of terrorism and related crimes. Recalling recent terrorist acts and their tragic consequences, each of us can confirm that these are not the objectives or dreams of our nations. Our peoples wish to live in safety and security, and not in an atmosphere of fear and terror. They wish to see their families happy and their homelands thriving and prosperous. They wish to look to the future with faith and confidence. Today we have assembled here to make cooperation, friendship and peace the chosen path in the lives of our nations and states. The paths that are God-pleasing are not armored with guns, cannons and rockets, but rather are protected under God?s graces and blessing. 

"Each of us wishes to see his concerns addressed and the difficulties of our peoples resolved. However, in the reality of the current century, those concerns and difficulties, as diverse as they are, are also interconnected. All problems should be solved only by peaceful means, through the respect of rights, justice and law." 

The Catholicos of All Armenians placed great importance to the mission of the spiritual leaders, noting that they are "the sowers of spiritual values". His Holiness stressed that goodwill and mutual confidence are the result of spiritual values, and stated his satisfaction for the initiative of inter-religious cooperation manifested by the authorities of the Russian Federation under the leadership of President Vladimir Putin. 

Also during the first session, Mr. Armen Smbatian, Ambassador Extraordinary and Plenipotentiary of the Republic of Armenia to the Russian Federation, read the message of Mr. Robert Kocharian, President of the Republic of Armenia, addressed to the Forum participants. 

Nearly 200 clergymen from the CIS countries, among them spiritual leaders representing Christian, Jewish, Muslim and Buddhist faiths, as well as state officials, are participating in the Forum.